### File
/*
Record 1
VASP calculation (PBE) on ScBeP2 after structural relaxation.

- symmetry = No. 119
- raw total energy (eV/atom) = -5.583
- V (A^3/atom) = 14.52
- spin magnetization (μB/f.u.) = 0.0

The structure in POSCAR format:
```
ScBeP2
1.0
5.214 0.001 0.000
2.774 4.415 0.000
-3.994 -2.208 2.522
Sc P Be
1 2 1
Direct
0.500 0.500 0.000
0.250 0.750 0.500
0.000 0.000 0.000
0.750 0.250 0.500
```

=====

Record 2
VASP calculation (PBE) on ScBeP2 after structural relaxation.

- symmetry = No. 65
- raw total energy (eV/atom) = -5.539
- V (A^3/atom) = 14.35
- spin magnetization (μB/f.u.) = 0.0

The structure in POSCAR format:
```
ScBeP2
1.0
-1.718 -2.807 -0.197
2.048 -1.113 2.332
-3.305 1.761 3.743
Sc P Be
1 2 1
Direct
0.500 0.500 0.250
0.000 0.000 0.541
0.000 0.000 0.959
0.500 0.500 0.750
```

=====

Record 3
VASP calculation (PBE) on ScBe2P2 after structural relaxation.

- symmetry = No. 139
- raw total energy (eV/atom) = -5.465
- V (A^3/atom) = 13.70
- spin magnetization (μB/f.u.) = 0.0

The structure in POSCAR format:
```
ScBe2P2
1.0
3.432 0.000 0.000
0.000 3.432 0.000
1.716 1.716 5.816
Be P Sc
2 2 1
Direct
0.250 0.750 0.500
0.750 0.250 0.500
0.631 0.631 0.738
0.369 0.369 0.262
0.000 0.000 0.000
```

=====

Record 4
VASP calculation (PBE) on ScBeP2 after structural relaxation.

- symmetry = No. 99
- raw total energy (eV/atom) = -5.608
- V (A^3/atom) = 16.96
- spin magnetization (μB/f.u.) = 0.0

The structure in POSCAR format:
```
ScBeP2
1.0
3.548 0.000 0.000
0.000 3.550 0.000
0.000 0.000 5.388
Be Sc P
1 1 2
Direct
0.500 0.500 0.787
0.000 0.000 0.424
0.000 0.000 0.910
0.500 0.500 0.379
```

=====

Record 5
VASP calculation (PBE) on Sc2Be2P after structural relaxation.

- symmetry = No. 127
- raw total energy (eV/atom) = -5.528
- V (A^3/atom) = 14.45
- spin magnetization (μB/f.u.) = 0.0

The structure in POSCAR format:
```
Sc2Be2P
1.0
6.016 0.000 0.000
0.000 6.016 0.000
0.000 0.000 3.994
Sc P Be
4 2 4
Direct
0.830 0.330 0.500
0.670 0.830 0.500
0.330 0.170 0.500
0.170 0.670 0.500
0.500 0.500 0.000
0.000 0.000 0.000
0.625 0.125 0.000
0.875 0.625 0.000
0.125 0.375 0.000
0.375 0.875 0.000
```

=====

Record 6
VASP calculation (PBE) on ScBe2P after structural relaxation.

- symmetry = No. 166
- raw total energy (eV/atom) = -4.353
- V (A^3/atom) = 17.20
- spin magnetization (μB/f.u.) = 0.0

The structure in POSCAR format:
```
ScBe2P
1.0
-0.200 -0.827 4.863
-3.930 -1.224 2.725
-0.884 -4.259 2.334
Be P Sc
2 1 1
Direct
0.092 0.092 0.092
0.408 0.408 0.408
0.250 0.250 0.250
0.750 0.750 0.750
```

~~~~~

[1]
DFT (PBE) results for an optimized crystal structure of TiSnPd2.

Calculated values
- N(E_F) (states/eV per cell) = 4.4
- space group = P4/mmm, No. 123
- magnetic moment (μB/atom) = 0.003
- final energy (eV/cell) = -24.187
- energy of formation from the pure elements (meV/atom) = -476

Cell lengths 4.115, 4.115, 4.013 Å; angles 90.00, 90.00, 90.00 degrees
Element x y z (fractional)
Ti 0.000 0.000 0.000
Sn 0.500 0.500 0.000
Pd 0.000 0.500 0.500
Pd 0.500 0.000 0.500


[2]
DFT (PBE) results for an optimized crystal structure of Ti4SnPd7.

Calculated values
- N(E_F) (states/eV per cell) = 8.9
- space group = C2/m, No. 12
- magnetic moment (μB/atom) = 0.000
- final energy (eV/cell) = -76.047
- energy of formation from the pure elements (meV/atom) = -343

Cell lengths 5.790, 5.790, 9.380 Å; angles 116.69, 116.69, 49.66 degrees
Element x y z (fractional)
Ti 0.085 0.085 0.272
Ti 0.249 0.249 0.834
Ti 0.751 0.751 0.166
Ti 0.915 0.915 0.728
Sn 0.500 0.500 0.500
Pd 0.000 0.000 0.500
Pd 0.143 0.143 0.041
Pd 0.286 0.286 0.587
Pd 0.436 0.436 0.149
Pd 0.564 0.564 0.851
Pd 0.714 0.714 0.413
Pd 0.857 0.857 0.959


[3]
*/
### Work order
It remains to copy the whole of the rows further above without additions.
### Outcome
Record 1
VASP calculation (PBE) on ScBeP2 after structural relaxation.

- symmetry = No. 119
- raw total energy (eV/atom) = -5.583
- V (A^3/atom) = 14.52
- spin magnetization (μB/f.u.) = 0.0

The structure in POSCAR format:
```
ScBeP2
1.0
5.214 0.001 0.000
2.774 4.415 0.000
-3.994 -2.208 2.522
Sc P Be
1 2 1
Direct
0.500 0.500 0.000
0.250 0.750 0.500
0.000 0.000 0.000
0.750 0.250 0.500
```

=====

Record 2
VASP calculation (PBE) on ScBeP2 after structural relaxation.

- symmetry = No. 65
- raw total energy (eV/atom) = -5.539
- V (A^3/atom) = 14.35
- spin magnetization (μB/f.u.) = 0.0

The structure in POSCAR format:
```
ScBeP2
1.0
-1.718 -2.807 -0.197
2.048 -1.113 2.332
-3.305 1.761 3.743
Sc P Be
1 2 1
Direct
0.500 0.500 0.250
0.000 0.000 0.541
0.000 0.000 0.959
0.500 0.500 0.750
```

=====

Record 3
VASP calculation (PBE) on ScBe2P2 after structural relaxation.

- symmetry = No. 139
- raw total energy (eV/atom) = -5.465
- V (A^3/atom) = 13.70
- spin magnetization (μB/f.u.) = 0.0

The structure in POSCAR format:
```
ScBe2P2
1.0
3.432 0.000 0.000
0.000 3.432 0.000
1.716 1.716 5.816
Be P Sc
2 2 1
Direct
0.250 0.750 0.500
0.750 0.250 0.500
0.631 0.631 0.738
0.369 0.369 0.262
0.000 0.000 0.000
```

=====

Record 4
VASP calculation (PBE) on ScBeP2 after structural relaxation.

- symmetry = No. 99
- raw total energy (eV/atom) = -5.608
- V (A^3/atom) = 16.96
- spin magnetization (μB/f.u.) = 0.0

The structure in POSCAR format:
```
ScBeP2
1.0
3.548 0.000 0.000
0.000 3.550 0.000
0.000 0.000 5.388
Be Sc P
1 1 2
Direct
0.500 0.500 0.787
0.000 0.000 0.424
0.000 0.000 0.910
0.500 0.500 0.379
```

=====

Record 5
VASP calculation (PBE) on Sc2Be2P after structural relaxation.

- symmetry = No. 127
- raw total energy (eV/atom) = -5.528
- V (A^3/atom) = 14.45
- spin magnetization (μB/f.u.) = 0.0

The structure in POSCAR format:
```
Sc2Be2P
1.0
6.016 0.000 0.000
0.000 6.016 0.000
0.000 0.000 3.994
Sc P Be
4 2 4
Direct
0.830 0.330 0.500
0.670 0.830 0.500
0.330 0.170 0.500
0.170 0.670 0.500
0.500 0.500 0.000
0.000 0.000 0.000
0.625 0.125 0.000
0.875 0.625 0.000
0.125 0.375 0.000
0.375 0.875 0.000
```

=====

Record 6
VASP calculation (PBE) on ScBe2P after structural relaxation.

- symmetry = No. 166
- raw total energy (eV/atom) = -4.353
- V (A^3/atom) = 17.20
- spin magnetization (μB/f.u.) = 0.0

The structure in POSCAR format:
```
ScBe2P
1.0
-0.200 -0.827 4.863
-3.930 -1.224 2.725
-0.884 -4.259 2.334
Be P Sc
2 1 1
Direct
0.092 0.092 0.092
0.408 0.408 0.408
0.250 0.250 0.250
0.750 0.750 0.750
```

~~~~~

[1]
DFT (PBE) results for an optimized crystal structure of TiSnPd2.

Calculated values
- N(E_F) (states/eV per cell) = 4.4
- space group = P4/mmm, No. 123
- magnetic moment (μB/atom) = 0.003
- final energy (eV/cell) = -24.187
- energy of formation from the pure elements (meV/atom) = -476

Cell lengths 4.115, 4.115, 4.013 Å; angles 90.00, 90.00, 90.00 degrees
Element x y z (fractional)
Ti 0.000 0.000 0.000
Sn 0.500 0.500 0.000
Pd 0.000 0.500 0.500
Pd 0.500 0.000 0.500


[2]
DFT (PBE) results for an optimized crystal structure of Ti4SnPd7.

Calculated values
- N(E_F) (states/eV per cell) = 8.9
- space group = C2/m, No. 12
- magnetic moment (μB/atom) = 0.000
- final energy (eV/cell) = -76.047
- energy of formation from the pure elements (meV/atom) = -343

Cell lengths 5.790, 5.790, 9.380 Å; angles 116.69, 116.69, 49.66 degrees
Element x y z (fractional)
Ti 0.085 0.085 0.272
Ti 0.249 0.249 0.834
Ti 0.751 0.751 0.166
Ti 0.915 0.915 0.728
Sn 0.500 0.500 0.500
Pd 0.000 0.000 0.500
Pd 0.143 0.143 0.041
Pd 0.286 0.286 0.587
Pd 0.436 0.436 0.149
Pd 0.564 0.564 0.851
Pd 0.714 0.714 0.413
Pd 0.857 0.857 0.959


[3]